Listing:
____________
Computed powder XRD pattern
Compound: Cd4Pt
Radiation: λ = 1.5418 Å (Cu Kα)
Structure: a crystal structure in Alexandria, relaxed with GGA-PBE
Kinematic intensities with the Lorentz-polarization factor, no thermal factor.

Atomic structure:
Cell lengths 7.7174, 7.7174, 7.7174 Å; angles 136.24, 136.24, 63.62 degrees
Fractional coordinates of all 10 atoms:
Cd: 0.1619 0.8039 0.8747
Cd: 0.2127 0.3381 0.1419
Cd: 0.3039 0.9292 0.6419
Cd: 0.4292 0.2873 0.6253
Cd: 0.5708 0.7127 0.3747
Cd: 0.6961 0.0708 0.3581
Cd: 0.7873 0.6619 0.8581
Cd: 0.8381 0.1961 0.1253
Pt: 0.1250 0.3750 0.7500
Pt: 0.8750 0.6250 0.2500
____________
Exercise:
Next, find "0.8039 0.8747" and "0.9292 0.6419" in the listing earlier on, and copy these two lines and those between.
Solution:
Cd: 0.1619 0.8039 0.8747
Cd: 0.2127 0.3381 0.1419
Cd: 0.3039 0.9292 0.6419